Data
<<<
Record 1
Here is a structure of composition C42H53BrCl3FNO2PSn in a non-equilibrium geometry from the OMol25 dataset. Energies are from the ωB97M-V functional and the def2-TZVPD basis.

Structure (XYZ):
```
105
Properties=species:S:1:pos:R:3:forces:R:3:mulliken_charge:R:1
Sn 0.9032 -0.4479 0.2778 -0.9045 0.6752 -0.2222 2.86
C 1.5252 5.2255 1.5657 -0.0603 0.0243 -0.1131 -1.68
C 1.5776 3.8731 0.8596 0.1995 -0.2142 0.2569 0.43
C 2.9513 3.2244 1.1116 -0.0607 0.0437 -0.1405 -1.55
P 0.3458 2.5289 1.2637 -0.0329 0.3496 -0.1828 0.25
C -1.2702 2.9819 0.4722 -0.0680 0.0271 0.1314 0.93
C -1.6996 4.4456 0.4430 0.0041 -0.0776 -0.0422 -1.56
C -2.3477 2.0899 1.0970 0.0513 0.0051 -0.0629 -1.49
C 0.0695 2.7249 3.0747 0.1252 -0.2930 -0.0304 0.43
C -0.3223 3.8957 3.7140 -0.0551 -0.0323 -0.0191 -0.01
C -0.3278 4.0278 5.1001 -0.0374 0.0008 0.0036 0.54
C -0.6902 5.3317 5.7562 0.0275 -0.0807 0.0067 -1.78
C 0.0508 2.9242 5.8735 -0.1240 -0.0144 -0.0091 -0.83
C 0.3370 1.7169 5.2850 0.1239 0.0065 -0.0680 -0.81
C 0.3457 1.5803 3.8743 0.1695 -0.0547 0.1150 -1.07
N 0.7379 0.4278 3.2664 -0.0580 -0.0195 0.0592 0.17
C 0.5948 -0.8046 3.8726 0.0354 0.1417 0.2079 -0.35
C 1.6537 -1.7306 3.7168 0.1652 0.1606 0.0974 1.30
C 2.9334 -1.3418 3.0153 -0.1874 -0.1534 -0.0451 -1.82
C 1.5484 -2.9841 4.3047 0.0583 -0.0360 -0.1416 -0.73
C 0.4233 -3.3752 5.0149 -0.0058 -0.0635 0.0453 0.82
C 0.3348 -4.7326 5.6620 -0.0267 0.0803 -0.0707 -1.68
C -0.6327 -2.4734 5.1158 -0.0611 -0.0115 -0.0508 -0.85
C -0.5812 -1.2058 4.5629 -0.1188 0.0676 -0.1059 1.62
C -1.8291 -0.3515 4.5964 0.1305 -0.1007 -0.0024 -1.86
H 2.3213 5.8583 1.1635 -0.0237 0.0056 0.0181 0.50
H 1.7027 5.1183 2.6363 0.0047 0.0061 -0.0085 0.36
H 0.5809 5.7504 1.4182 0.0228 -0.0085 0.0463 0.27
H 1.4556 4.0280 -0.2154 -0.0504 -0.0058 -0.0162 0.52
H 3.0604 2.9761 2.1724 0.0239 0.0114 -0.0256 0.23
H 3.7566 3.9120 0.8406 -0.0163 0.0048 0.0356 0.49
H 3.0759 2.3049 0.5367 0.0202 -0.0116 0.0471 0.25
H -1.1204 2.6551 -0.5627 0.0386 -0.0248 -0.0061 0.26
H -1.9190 4.8267 1.4422 0.0165 0.0047 -0.0214 0.21
H -2.6139 4.5418 -0.1491 0.0054 0.0255 0.0120 0.48
H -0.9386 5.0746 -0.0191 -0.0395 0.0252 0.0127 0.33
H -2.5455 2.3877 2.1304 -0.0122 -0.0053 -0.0241 0.26
H -2.0362 1.0411 1.0981 -0.0412 -0.0028 0.0024 0.18
H -3.2814 2.1640 0.5354 0.0117 -0.0018 0.0081 0.54
H -0.6228 4.7479 3.1207 0.0966 0.0385 0.0040 0.13
H -0.9718 6.0821 5.0189 0.0000 -0.0002 0.0074 0.34
H 0.1542 5.7177 6.3313 -0.0154 0.0244 -0.0101 0.36
H -1.5221 5.2022 6.4512 -0.0051 0.0137 -0.0130 0.38
H 0.1031 3.0220 6.9526 -0.0100 -0.0040 -0.0165 0.41
H 0.6397 0.8681 5.8863 -0.0551 0.0027 0.0043 0.53
H 2.9369 -0.2918 2.7398 0.0472 0.0000 -0.0169 0.26
H 3.0638 -1.9251 2.0994 0.0182 0.0287 0.0330 0.23
H 3.7964 -1.5423 3.6527 -0.0249 0.0091 0.0293 0.49
H 2.3808 -3.6754 4.2033 -0.0100 0.0331 0.0268 0.35
H 1.2103 -5.3388 5.4309 -0.0112 0.0036 0.0049 0.37
H -0.5541 -5.2703 5.3243 0.0150 -0.0026 0.0101 0.34
H 0.2634 -4.6373 6.7472 0.0075 -0.0253 -0.0013 0.36
H -1.5456 -2.7865 5.6146 0.0168 0.0270 0.0032 0.45
H -2.7098 -0.9930 4.6332 0.0038 -0.0025 0.0088 0.57
H -1.9011 0.2807 3.7110 -0.0245 0.0081 0.0207 0.14
H -1.8516 0.3019 5.4692 -0.0413 0.0218 -0.0153 0.39
C 0.8758 0.5531 -8.0111 -0.0863 0.0502 -0.0490 -1.58
C -0.1879 1.2564 -7.1525 0.1543 -0.0807 0.0118 1.93
C 0.0109 2.7731 -7.2640 -0.0126 -0.0440 0.0050 -1.99
C -1.5801 0.9157 -7.7016 0.0206 0.0359 0.0189 -1.77
C -0.0440 0.7838 -5.7042 0.0410 0.0219 -0.0587 -0.30
C 0.6738 1.5018 -4.7603 0.0283 0.0446 0.0577 -0.44
C 0.7147 1.0572 -3.4525 -0.1003 0.0344 0.1086 -0.06
Br 1.6892 2.0767 -2.1792 -0.0145 0.0749 -0.0531 -0.27
C 0.0501 -0.0875 -2.9784 0.0753 -0.0115 -0.2041 0.55
O -0.0429 -0.3482 -1.6912 0.5104 -0.1253 0.4751 -0.59
C -0.5291 -0.9110 -3.9794 -0.0626 -0.0944 0.0594 -0.24
C -0.5764 -0.4303 -5.2852 -0.0769 -0.1316 -0.0426 -0.13
C -1.0098 -2.3603 -3.7372 0.0841 0.1234 0.0633 2.41
C -2.2994 -2.6503 -4.5203 -0.0024 0.0127 -0.0213 -1.94
C 0.1068 -3.2867 -4.2485 -0.0659 -0.0823 0.0686 -1.76
>>>
Wanted
What is needed: give back the part of the material further above that starts with the line with "-2.0362 1.0411" and stops after the one with "-8.0111 -0.0863".
Outcome
H -2.0362 1.0411 1.0981 -0.0412 -0.0028 0.0024 0.18
H -3.2814 2.1640 0.5354 0.0117 -0.0018 0.0081 0.54
H -0.6228 4.7479 3.1207 0.0966 0.0385 0.0040 0.13
H -0.9718 6.0821 5.0189 0.0000 -0.0002 0.0074 0.34
H 0.1542 5.7177 6.3313 -0.0154 0.0244 -0.0101 0.36
H -1.5221 5.2022 6.4512 -0.0051 0.0137 -0.0130 0.38
H 0.1031 3.0220 6.9526 -0.0100 -0.0040 -0.0165 0.41
H 0.6397 0.8681 5.8863 -0.0551 0.0027 0.0043 0.53
H 2.9369 -0.2918 2.7398 0.0472 0.0000 -0.0169 0.26
H 3.0638 -1.9251 2.0994 0.0182 0.0287 0.0330 0.23
H 3.7964 -1.5423 3.6527 -0.0249 0.0091 0.0293 0.49
H 2.3808 -3.6754 4.2033 -0.0100 0.0331 0.0268 0.35
H 1.2103 -5.3388 5.4309 -0.0112 0.0036 0.0049 0.37
H -0.5541 -5.2703 5.3243 0.0150 -0.0026 0.0101 0.34
H 0.2634 -4.6373 6.7472 0.0075 -0.0253 -0.0013 0.36
H -1.5456 -2.7865 5.6146 0.0168 0.0270 0.0032 0.45
H -2.7098 -0.9930 4.6332 0.0038 -0.0025 0.0088 0.57
H -1.9011 0.2807 3.7110 -0.0245 0.0081 0.0207 0.14
H -1.8516 0.3019 5.4692 -0.0413 0.0218 -0.0153 0.39
C 0.8758 0.5531 -8.0111 -0.0863 0.0502 -0.0490 -1.58